## Exercise
It remains to filter the lines further below: keep the lines with the word "fractional".

## File
+++
Diffraction record for Be4FeAg. The X-ray powder pattern is computed, not measured: it uses a cell relaxed with PBE and CuKα.

Crystal structure
Cell lengths 6.1873, 6.1873, 6.1873 Å; angles 90.00, 90.00, 90.00 degrees
Space group F-43m (No. 216)
Inequivalent atoms, fractional coordinates:
Be: 0.1230 0.1230 0.1230 x16
Fe: 0.2500 0.2500 0.7500 x4
Ag: 0.0000 0.0000 0.5000 x4

Main lines, by angle (2θ from 10° to 90°):
- 2θ = 24.93°, I = 100
- 2θ = 28.86°, I = 11
- 2θ = 41.27°, I = 87
- 2θ = 48.82°, I = 67
- 2θ = 59.79°, I = 10
- 2θ = 65.79°, I = 18
- 2θ = 67.73°, I = 4
- 2θ = 75.24°, I = 26
- 2θ = 80.70°, I = 20
- 2θ = 89.63°, I = 11

=====

Diffraction record for Pm3DyH8. The X-ray powder pattern is computed, not measured: it uses a cell relaxed with PBE and CuKα.

Crystal structure
Cell lengths 5.3502, 5.3502, 5.3502 Å; angles 90.00, 90.00, 90.00 degrees
Space group Pm-3m (No. 221)
Inequivalent atoms, fractional coordinates:
Pm: 0.0000 0.0000 0.5000 x3
Dy: 0.5000 0.5000 0.5000 x1
H: 0.2562 0.2562 0.2562 x8

Main lines, by angle (2θ from 10° to 90°):
- 2θ = 28.90°, I = 100
- 2θ = 33.50°, I = 49
- 2θ = 48.10°, I = 38
- 2θ = 57.10°, I = 44
- 2θ = 59.89°, I = 13
- 2θ = 70.39°, I = 6
- 2θ = 77.82°, I = 18
- 2θ = 80.24°, I = 16
- 2θ = 89.81°, I = 13

=====

Diffraction record for ThGa2Rh4. The X-ray powder pattern is computed, not measured: it uses a cell relaxed with PBE and CuKα.

Crystal structure
Cell lengths 5.5410, 8.4808, 10.0252 Å; angles 90.00, 90.00, 90.00 degrees
Space group Fmmm (No. 69)
Inequivalent atoms, fractional coordinates:
Th: 0.0000 0.0000 0.0000 x4
Ga: 0.0000 0.0000 0.3102 x8
Rh: 0.0000 0.1955 0.5000 x8
Rh: 0.2500 0.2500 0.2500 x8

Main lines, by angle (2θ from 10° to 90°):
- 2θ = 32.31°, I = 30
- 2θ = 33.04°, I = 67
- 2θ = 35.83°, I = 71
- 2θ = 36.80°, I = 75
- 2θ = 37.08°, I = 87
- 2θ = 38.83°, I = 46
- 2θ = 42.64°, I = 39
- 2θ = 45.08°, I = 100
- 2θ = 65.20°, I = 31
- 2θ = 66.65°, I = 31

=====

Diffraction record for CuSi2Sb. The X-ray powder pattern is computed, not measured: it uses a cell relaxed with PBE and CuKα.

Crystal structure
Cell lengths 7.3782, 3.6071, 5.6624 Å; angles 90.00, 106.65, 90.00 degrees
Space group C2/m (No. 12)
Inequivalent atoms, fractional coordinates:
Cu: 0.0000 0.0000 0.0000 x2
Si: 0.2372 0.5000 0.1653 x4
Sb: 0.0000 0.5000 0.5000 x2

Main lines, by angle (2θ from 10° to 90°):
- 2θ = 25.20°, I = 34
- 2θ = 30.43°, I = 46
- 2θ = 33.02°, I = 26
- 2θ = 34.24°, I = 100
- 2θ = 35.48°, I = 41
- 2θ = 44.97°, I = 49
- 2θ = 50.61°, I = 17
- 2θ = 51.73°, I = 16
- 2θ = 53.09°, I = 16
- 2θ = 54.92°, I = 16

=====

# 1
Starting from a DFT-relaxed cell (GGA-PBE, Alexandria), the X-ray powder pattern of Ca6Ag2Au was simulated for Cu Kα (λ = 1.5418 Å).

Largest 12 diffraction maxima, most intense first, 10 to 90 degrees two-theta:
2θ/deg, intensity
32.38, 100
17.75, 78
30.03, 66
32.90, 57
16.46, 50
35.95, 43
31.92, 43
17.37, 40
35.63, 37
43.81, 34
41.47, 33
33.22, 29

Atomic structure:
a = 8.946 Å, b = 8.946 Å, c = 8.946 Å
α = 112.11°, β = 110.40°, γ = 105.96°
Positions (direct):
Ca 0.059 0.249 0.810
Ca 0.174 0.268 0.443
Ca 0.174 0.732 0.906
Ca 0.333 0.040 0.706
Ca 0.333 0.627 0.294
Ca 0.439 0.249 0.190
Ca 0.561 0.751 0.810
Ca 0.667 0.373 0.706
Ca 0.667 0.960 0.294
Ca 0.826 0.268 0.094
Ca 0.826 0.732 0.557
Ca 0.941 0.751 0.190
Ag 0.129 0.629 0.500
Ag 0.348 0.000 0.348
Ag 0.652 0.000 0.652
Ag 0.871 0.371 0.500
Au 0.000 0.000 0.000
Au 0.500 0.500 0.000



# 2
Starting from a DFT-relaxed cell (GGA-PBE, Alexandria), the X-ray powder pattern of Ca2AgAu3 was simulated for Cu Kα (λ = 1.5418 Å).

Largest 12 diffraction maxima, most intense first, 10 to 90 degrees two-theta:
2θ/deg, intensity
33.20, 100
37.95, 76
24.91, 68
45.93, 55
65.41, 39
37.75, 38
51.14, 36
21.56, 34
45.76, 28
65.26, 25
21.68, 18
73.92, 14

Atomic structure:
a = 9.485 Å, b = 8.945 Å, c = 5.958 Å
α = 76.13°, β = 66.29°, γ = 37.58°
Positions (direct):
Ca 0.249 0.751 0.751
Ca 0.250 0.250 0.250
Ca 0.750 0.750 0.750
Ca 0.751 0.249 0.249
+++

## Result
Inequivalent atoms, fractional coordinates:
Inequivalent atoms, fractional coordinates:
Inequivalent atoms, fractional coordinates:
Inequivalent atoms, fractional coordinates: